Tuesday, July 21, 2009

Next to the piece, the page also holds crystal structures =
=====
VASP calculation (PBE-GGA) on a relaxed structure of Si2Mo.

Properties
Final energy: -0.5661 Ry/atom
Symmetry: P6_222, No. 180
Largest piezoelectric modulus: 0.66 C/m2

Lattice parameters (Å, degrees): 4.6165 4.6165 6.6175 90.00 90.00 120.00
Element x y z (fractional)
Si  0.1639  0.3279  0.5000
Si  0.6721  0.8361  0.1667
Si  0.3279  0.1639  0.1667
Mo  0.5000  0.5000  0.8333
Si  0.1639  0.8361  0.8333
Si  0.8361  0.1639  0.8333
Mo  0.0000  0.5000  0.1667
Mo  0.5000  0.0000  0.5000
Si  0.8361  0.6721  0.5000

VASP calculation (PBE-GGA) on a relaxed structure of CeSe2.

Properties
Final energy: -0.3846 Ry/atom
MP2020-corrected energy: -5.55 eV per atom
Symmetry: P-31c, No. 163

Lattice parameters (Å, degrees): 7.2144 19.0566 19.0566 120.00 90.00 90.00
Element x y z (fractional)
Se  0.0000  0.0000  0.5000
Se  0.5000  0.0000  0.5000
Ce  0.9781  0.3490  0.8605
Se  0.2500  0.3959  0.7917
Se  0.2500  0.7936  0.5871
Ce  0.0219  0.6510  0.1395
Se  0.7500  0.3893  0.6107
Ce  0.5219  0.3490  0.4885
Ce  0.0219  0.4885  0.3490
Ce  0.4781  0.8605  0.3490
Se  0.7500  0.7917  0.3959
Se  0.7500  0.6041  0.2083
Se  0.2500  0.7936  0.2064
Se  0.5000  0.5000  0.5000
Se  0.2500  0.7787  0.3893
Se  0.0000  0.5000  0.0000
Ce  0.9781  0.1395  0.4885
Se  0.7500  0.2213  0.6107
Se  0.7500  0.2064  0.4129
Se  0.2500  0.4129  0.2064
Se  0.5000  0.5000  0.0000
Se  0.2500  0.6107  0.2213
Ce  0.5219  0.1395  0.6510
Ce  0.0219  0.8605  0.5115
Se  0.2500  0.6107  0.3893
Se  0.7500  0.6041  0.3959
Ce  0.9781  0.5115  0.6510
Se  0.7500  0.3893  0.7787
Se  0.0000  0.5000  0.5000
Se  0.2500  0.3959  0.6041
Se  0.7500  0.5871  0.7936
Ce  0.4781  0.4885  0.1395
Se  0.7500  0.2064  0.7936
Ce  0.5219  0.5115  0.8605
Se  0.2500  0.2083  0.6041
Ce  0.4781  0.6510  0.5115

Number 1: calculated formation energy -470 meV per atom. Number 2: calculated formation energy -1239 meV per atom.

* * * * *

A plane-wave DFT calculation with PBE was carried out for a relaxed Ho2TlCd crystal.

Output
The calculation puts the formation energy at -1.324 eV/f.u. For the total energy, the calculation gives -3.444 eV per atom.

Cell lengths 7.513, 7.513, 7.513 Å; angles 90.00, 90.00, 90.00 degrees
Space group Fm-3m (No. 225)
Unique sites:
Ho  0.250  0.250  0.250 x8
Tl  0.000  0.000  0.000 x4
Cd  0.000  0.000  0.500 x4

***

A plane-wave DFT calculation with PBE was carried out for a relaxed Li2TiPO4F crystal.

Output
The calculation puts the formation energy at -24.361 eV/f.u. For the total energy, the calculation gives -6.665 eV per atom.

Cell lengths 5.416, 5.480, 7.353 Å; angles 105.68, 105.95, 95.86 degrees
Space group P1 (No. 1)
Unique sites:
Li  0.000  0.000  0.000 x1
Li  0.123  0.421  0.311 x1
Li  0.451  0.772  0.303 x1
Li  0.586  0.738  0.673 x1
Ti  0.575  0.235  0.149 x1
Ti  0.584  0.247  0.655 x1
P  0.201  0.573  0.907 x1
P  0.956  0.896  0.389 x1
O  0.231  0.390  0.042 x1
O  0.252  0.913  0.492 x1
O  0.318  0.854  0.054 x1
O  0.349  0.501  0.755 x1
O  0.793  0.964  0.534 x1
=====


Today is Tuesday, July 21, 2009. It is sunny and warm. The sky is a beautiful blue.
As I have been straightening up the house yesterday and today, I've spent a lot of time putting away "stuff." You know, books, magazines, pencils, pens, dishes, clothes, tote bags, pillows and the like. I have tried over the years to get better at "a place for everything and everything in its place." Some days I think I have made progress. Other days I'm not so sure.
If you have ever been in our house you know we have many, many books. Not only do we have the books we bought, but we have books from Glen's parents' collection and books from my mother's collection. Add to that books that belong to some of our children. We love books, what can I say? Most of them have been read more than once.
When Glen retired from teaching he brought home his office. He had wall to wall, floor to ceiling bookcases filled with more books. We do have lots of book shelves and they are all filled and spilling over. My oldest sister once said that if she left 2 glasses out on the counter top overnight they multiplied by morning. I think that is true of books, too.
We have dozens of cookbooks. And several sets of encylcopedias. And we all love the old Reader's Digest Condensed Books. (We don't like the new Select Editions. They have too much graphic sex and bad language left in them. I feel perfectly okay if one of my grandchildren selects an old Condensed Book to read. I have expressed my dislike to every Reader's Digest person who has called. "NO, I do not want your Selection Editions because ....")
Not so long ago I decided I would like to collect all the Caldacott Award and the Newberry Award winners. Sure, we need more books. It is a fun project. I just wish I could find a copy of Wanda Gag's Millions and Millions of Cats.
And everytime a book ad comes in the mail - five books for $1 - I pore over that ad, select 5 books I'd really, really like. I am doing better at not making the order. I know that I can cancel at any time or return any book I don't want BUT too often in the past I have just kept buying book after book.
Photographs are another possession that we have boxes and boxes full - and albums, too. I am trying to be more discerning with the photos I keep. I ask myself "Is anyone really interested in this photo of me 15 years ago with some of my PTA friends at Disneyland?" Or what about my PTA friends without me? And where on earth was this picture of the highway taken. Oh, yes, once I said I wanted a picture book of trees and clouds so that when I am too old to do much else I can look at the pictures. Wait, I think I said that same thing in my last blog. Am I overly concerned with getting too old to do much else? Maybe.
Dishes - I love dishes. Whenever there is an offer to get dishes in the grocery store, I always fall prey to that come on. Over the years I have parted with some of the pieces but not many. I treasure those dishes. Sure, they are kind of cheap but I like them nevertheless.
Last week I went through my clothes closet. I have plenty of clothes but I usually wear the same old favorites. One of our granddaughters asked her mother "How come Grandma always wears the same dress?" I love it, that's why. Can I clean out my closet a little and give some of those things away? Nope, I might need it one day.
Some of you will understand about me and my possessions. Others of you will shake your heads. A friend told me her mother's motto was "Every day throw something away." I'm trying but somehow I hear my mother's voice, "As sure as you throw that away you will need it." There's got to be a happy medium.
That's all for today. I'm going to tackle a drawer in my filing cabinet. I am doing well at throwing away papers. Wish me luck!

1 comment:

The Middle Child said...

I know what you mean about the difficulty in getting rid of things. It seems they just keep finding their way back. In our part of Arkansas, however, we have a solution that seems to scare at least some of the paper piles from returning. A nice spot out in the edge of the woods, a stone circle, and a single match.